Update: Photos from our project

The new year has just started and it's already February! While Angelo works on our project in Pizzo - the wooden and tile flooring now is all done - I am sitting at my desk in Bangkok searching online for some decent outdoor furniture. Calabria has not yet been discovered by IKEA & co and so it is not easy to find cool stuff. Beside having done some shopping in Northern Italy lately, ordering online seems a good solution to save time, but not being able to see and touch what you get and shipping cost to the most distant region of the Italian mainland are the downside. And while we are working on getting the apartments furnished before early summer, I get already many booking enquiries. I am really delighted to see that we get credits for our 5 star rated hospitality. But of course, our potential guests want to see photos! - Photos? But it's not furnished! - However, Angelo sends us on our what's app group (yes, that's how we manage another long distance project) almost daily updates. Although these are not for advertisement, I am posting them today as an update from the project side. And I promise the furnishing will be as nice as in our residence: a mix of old and new decorated with local art. Expect nice shots mid April. For now, please accept that we are at this state:

Dependance: entrance area from the street with view into second bedroom

Dependance: entrance area from the street with view into second bedroom

Dependance: The second bedroom with small balcony facing the sea and restored stone wall 

Dependance: The second bedroom with small balcony facing the sea and restored stone wall 

Dependance: living room with passage to the kitchen and restored original stone wall

Dependance: living room with passage to the kitchen and restored original stone wall

-- begin --
Simulated PXRD pattern
Compound: LuPaRu2
Radiation: Cu Kα (λ = 1.5418 Å)
Structure: a crystal structure in the Materials Project, relaxed with PBE
Lines closer than 0.1° are merged.

Most intense lines, 2θ from 10° to 80°, sorted by position:
2theta  I/Imax
22.68  1.7
26.24  12.2
37.45  100.0
44.23  1.0
46.31  3.9
54.01  17.5
61.01  5.4
67.57  35.7
79.90  11.2

Structure:
abc: 4.8023 4.8023 4.8023
angles: 60.00 60.00 60.00
Positions (direct):
1 Lu 0.0000 0.0000 0.0000
2 Pa 0.5000 0.5000 0.5000
3 Ru 0.2500 0.2500 0.2500
4 Ru 0.7500 0.7500 0.7500


Simulated PXRD pattern
Compound: MgBi3O7
Radiation: Cu Kα (λ = 1.5418 Å)
Structure: a crystal structure in the Materials Project, relaxed with PBE
Lines closer than 0.1° are merged.

Most intense lines, 2θ from 10° to 80°, sorted by position:
2theta  I/Imax
17.82  25.2
28.25  100.0
29.76  11.0
31.94  10.8
33.07  20.0
33.16  15.4
46.68  21.3
47.52  20.3
56.18  13.1
56.27  15.1

Structure:
abc: 10.8079 10.8293 5.6039
angles: 90.00 90.00 90.00
Positions (direct):
1 Mg 0.1381 0.2500 0.1904
2 Mg 0.3619 0.7500 0.6904
3 Mg 0.6381 0.2500 0.3096
4 Mg 0.8619 0.7500 0.8096
5 Bi 0.1279 0.0165 0.6837
6 Bi 0.1279 0.4835 0.6837
7 Bi 0.1404 0.7500 0.2319
8 Bi 0.3596 0.2500 0.7319
9 Bi 0.3721 0.5165 0.1837
10 Bi 0.3721 0.9835 0.1837
11 Bi 0.6279 0.0165 0.8163
12 Bi 0.6279 0.4835 0.8163
13 Bi 0.6404 0.7500 0.2681
14 Bi 0.8596 0.2500 0.7681
15 Bi 0.8721 0.5165 0.3163
16 Bi 0.8721 0.9835 0.3163
17 O 0.0439 0.1000 0.3540
18 O 0.0439 0.4000 0.3540
19 O 0.0475 0.2500 0.8427
20 O 0.2091 0.6189 0.9900
21 O 0.2091 0.8811 0.9900
22 O 0.2299 0.6290 0.4860
23 O 0.2299 0.8710 0.4860
24 O 0.2701 0.1290 0.9860
25 O 0.2701 0.3710 0.9860
26 O 0.2909 0.1189 0.4900
27 O 0.2909 0.3811 0.4900
28 O 0.4525 0.7500 0.3427
29 O 0.4561 0.6000 0.8540
30 O 0.4561 0.9000 0.8540
31 O 0.5439 0.1000 0.1460
32 O 0.5439 0.4000 0.1460
33 O 0.5475 0.2500 0.6573
34 O 0.7091 0.6189 0.5100
35 O 0.7091 0.8811 0.5100
36 O 0.7299 0.6290 0.0140
37 O 0.7299 0.8710 0.0140
38 O 0.7701 0.1290 0.5140
39 O 0.7701 0.3710 0.5140
40 O 0.7909 0.1189 0.0100
41 O 0.7909 0.3811 0.0100
42 O 0.9525 0.7500 0.1573
43 O 0.9561 0.6000 0.6460
44 O 0.9561 0.9000 0.6460


Simulated PXRD pattern
Compound: Na2PtO3
Radiation: Cu Kα (λ = 1.5418 Å)
Structure: a crystal structure in the Materials Project, relaxed with PBE
Lines closer than 0.1° are merged.

Most intense lines, 2θ from 10° to 80°, sorted by position:
2theta  I/Imax
17.46  100.0
18.62  14.8
21.66  18.7
28.91  29.2
32.98  17.7
34.02  31.5
34.45  29.2
39.66  22.1
39.78  43.1
57.43  27.2

Structure:
abc: 5.5779 5.5779 10.0630
angles: 100.74 100.74 109.13
Positions (direct):
1 Na 0.0000 0.0000 0.0000
2 Na 0.0701 0.5808 0.1399
3 Na 0.1463 0.1610 0.3134
4 Na 0.3174 0.3179 0.6400
5 Na 0.5895 0.0960 0.1695
6 Na 0.7367 0.2465 0.4931
7 Na 0.8327 0.8291 0.6663
8 Na 0.9068 0.4085 0.8102
9 Pt 0.2377 0.7387 0.4861
10 Pt 0.4063 0.9058 0.8209
11 Pt 0.4999 0.4982 0.9863
12 Pt 0.6619 0.6735 0.3265
13 O 0.1236 0.6322 0.6581
-- stop --

Dependance: living room and restored original stone wall - I am curious myself how the staircase leading to the attic will look like ...

Dependance: living room and restored original stone wall - I am curious myself how the staircase leading to the attic will look like ...

Dependance: restored wooden ceiling

Dependance: restored wooden ceiling

Dependance: roof terrace detail (wrought iron railing still coming)

Dependance: roof terrace detail (wrought iron railing still coming)

Dependance: roof terrace stone bench (wrought iron railing still coming)

Dependance: roof terrace stone bench (wrought iron railing still coming)

Dependance: kitchen not yet delivered but floor tiles look great!

Dependance: kitchen not yet delivered but floor tiles look great!

Dependance: open window in the kitchen with a view

Dependance: open window in the kitchen with a view

Dependance: kitchen will be on the left, passage to living room, kitchen balcony

Dependance: kitchen will be on the left, passage to living room, kitchen balcony

Dependance: master bedroom with original stone wall and small balcony 

Dependance: master bedroom with original stone wall and small balcony 

The house: Studio Bellavista entrance below left, Dependance entrance upstairs 

The house: Studio Bellavista entrance below left, Dependance entrance upstairs


Studio: entrance and kitchen area

Studio: entrance and kitchen area

Studio Bellavista: The bedroom with a small balcony facing the sea

Studio Bellavista: The bedroom with a small balcony facing the sea

Studio Bellavista: living room with 2 windows facing the sea

Studio Bellavista: living room with 2 windows facing the sea

Studio: balcony of bedroom facing the sea 

Studio: balcony of bedroom facing the sea 

All photos by Angelo, shot with his phone and sent via what's app group. Please expect big progress in April and more photos on the way. 

Bathroom: Can't take my eyes of subway tiles

A beautiful mix of three different shapes of white tiles, separated by a thin border of black tiles and finished with a pastell mint wall paint - I am impressed by this composition ! 

Not sure via which blog I found the above picture, but the photo below is from another blog and it shows the the same bathroom! So, I proudly present both pics together in one blog :

I just can't take my eyes of subway tiles

Subway tiles (on walls) are often combines with hexagon tiles on the floor. Here above with tiny, mosaic type hexa tiles.

But you can do it easier and cheaper, but not less interesting with square tiles :

Just another bathroom of ours ...

Rectangular subway tiles on the walls and square tiles, diagonally layed on the floor

Since we had not made any further specifications than "green" wall colour, our son (7 y.) actual favorite colour, Angelo used the leftover paint from downstairs and added a border of his choice. I think it looks super good, especially when you see the "matching" green leaves through the bathroom window and ....

.... a bit of sea view

More about this bathroom later with before & after pics.

More Green in the Green Bath

Remember the green bathroom with the beautiful ceiling? Now the walls and floor are finished too and worth to post about. We have chosen a green mosaic for the "wet" areas - sink, shower, toilet and bidet - the latter not yet installed.

Actually, CC had chosen the mosaic after one of my Internet finds. And Angelo has chosen a matching colour and stucco border. And it was CC's idea to repeat a bit of green mosaic in the terracotta flooring.

Initially, I wanted two single sinks as I did not wanted to queue for hand washing when coming home from the beach. Also I thought of using one as a utility sink to rinse swim wear. However, at the end, to safe space and reduce interruptions, we agreed on one long sink with two faucets. I just learned that this solution was probably more expensive then two sinks.

I like our idea to have a stucco border to finish the mosaic area and to paint the other wall parts below the stucco border in a darker green. Similar like in the original green room.

Above you see on the left that the shower is installed - and a bit of the restored ceiling.

In this green painted corner (above) we will install a washing machine. I know..., but it has to be somewhere in the house. (If it does not look nice, I will have built a wooden frame.)

Above picture (without flash) shows again the nice floor - and walls ! 

Above: floor in the making

### Here the article breaks off for calculated crystals
Entry 1:
Calculated XRD peak list
Compound: LiNi5Rh
Radiation: Cu Kα (weighted mean of Kα1 and Kα2)
Structure: a PBE-relaxed structure

Structural model:
```
data_LiNi5Rh
_cell_length_a 5.9175
_cell_length_b 6.8544
_cell_length_c 8.5816
_cell_angle_alpha 90.00
_cell_angle_beta 108.26
_cell_angle_gamma 90.00
_symmetry_space_group_name_H-M 'C 1 2/c 1'
_symmetry_Int_Tables_number 15
loop_
_symmetry_equiv_pos_as_xyz
'x,y,z'
'-x,-y,-z'
'-x,y,-z+1/2'
'x,-y,z+1/2'
'x+1/2,y+1/2,z'
'-x+1/2,-y+1/2,-z'
'-x+1/2,y+1/2,-z+1/2'
'x+1/2,-y+1/2,z+1/2'
loop_
_atom_site_label
_atom_site_type_symbol
_atom_site_fract_x
_atom_site_fract_y
_atom_site_fract_z
Li1 Li 0.2500 0.2500 0.0000
Ni1 Ni 0.0000 0.1428 0.7500
Ni2 Ni 0.1073 0.4591 0.6526
Ni3 Ni 0.1829 0.0965 0.5441
Rh1 Rh 0.0000 0.2162 0.2500
```

Main lines, low angle first (2θ from 10° to 90°):
Position (°2θ)  I/Imax  hkl
20.7  67  1 1 -1
42.1  47  2 2 -2
42.7  47  1 3 0
44.3  85  1 1 -4
44.5  97  2 0 2
45.5  100  1 3 1
46.8  34  2 2 -3
48.6  62  3 1 -2


Entry 2:
Calculated XRD peak list
Compound: Er2AgHg2
Radiation: Cu Kα (weighted mean of Kα1 and Kα2)
Structure: a PBE-relaxed structure

Structural model:
```
data_Er2AgHg2
_cell_length_a 7.8970
_cell_length_b 7.8970
_cell_length_c 3.9391
_cell_angle_alpha 90.00
_cell_angle_beta 90.00
_cell_angle_gamma 90.00
_symmetry_space_group_name_H-M 'P 4/m b m'
_symmetry_Int_Tables_number 127
_symmetry_space_group_name_Hall '-P 4 2ab'
loop_
_atom_site_label
_atom_site_type_symbol
_atom_site_fract_x
_atom_site_fract_y
_atom_site_fract_z
Er1 Er 0.1652 0.3348 0.0000
Ag1 Ag 0.0000 0.0000 0.5000
Hg1 Hg 0.1364 0.6364 0.5000
```

Main lines, low angle first (2θ from 10° to 90°):
Position (°2θ)  I/Imax  hkl
15.9  10  1 1 0
32.1  13  2 0 1
34.1  100  2 1 1
36.0  36  3 1 0
46.1  13  0 0 2
53.2  10  4 1 1
59.8  17  3 1 2
68.2  18  5 2 1


Entry 3:
Calculated XRD peak list
Compound: AcTb2Sm5Ho
Radiation: Cu Kα (weighted mean of Kα1 and Kα2)
Structure: a PBE-relaxed structure

Structural model:
```
data_AcTb2Sm5Ho
_cell_length_a 9.1766
_cell_length_b 9.1766
_cell_length_c 15.0457
_cell_angle_alpha 90.00
_cell_angle_beta 90.00
_cell_angle_gamma 90.00
_symmetry_space_group_name_H-M 'I 4/m c m'
_symmetry_Int_Tables_number 140
_symmetry_space_group_name_Hall '-I 4 2c'
loop_
_atom_site_label
_atom_site_type_symbol
_atom_site_fract_x
_atom_site_fract_y
_atom_site_fract_z
Ac1 Ac 0.0000 0.0000 0.2500
Tb1 Tb 0.1122 0.3878 0.0000
Sm1 Sm 0.0000 0.0000 0.0000
Sm2 Sm 0.2009 0.2991 0.3732
Ho1 Ho 0.0000 0.5000 0.2500
```

Main lines, low angle first (2θ from 10° to 90°):
Position (°2θ)  I/Imax  hkl
27.5  43  2 2 0
28.1  36  2 1 3
30.7  100  2 0 4
35.8  17  3 2 1
37.0  16  2 1 5
41.0  15  4 1 1
50.7  16  4 2 4
56.7  15  4 4 0


Entry 4:
Calculated XRD peak list
Compound: SmHo5Tm
Radiation: Cu Kα (weighted mean of Kα1 and Kα2)
Structure: a PBE-relaxed structure

Structural model:
```
data_SmHo5Tm
_cell_length_a 9.2231
_cell_length_b 3.5793
_cell_length_c 13.7916
_cell_angle_alpha 90.00

Below: floor finished (terra cotta con mosaico)

Here some BEFORE pictures:

Above: Splitting the "green room" to gain a bathroom. One old niche, on the left, where the sink of the old bathroom used to be (however in reverse direction) remained and now is hosting the shower in the new bathroom.

I wanted to keep that "green room subject": a two colour wall with stucco border.

Below: my "inspiration sheet" for the bathroom - we pretty much kept the theme.

But at the end, the ceiling turned out much better than planned, thanks to Angelo's artistic talent:

Above: ceiling BEFORE restoration

Above: ceiling AFTER restoration

The Green Bath Room Ceiling with BEFORE and AFTER pics

== Materials data from another source follow ==
=====
Record 1
Simulated powder XRD pattern
Compound: Pr2Dy2In3
Radiation: a wavelength of 1.5418 Å
Structure: the GGA-PBE geometry in Alexandria

Most intense lines, 10 to 80 degrees two-theta, in order of rising 2θ:
two_theta	Rel. int.
31.74	100
32.10	84
33.52	28
33.74	17
38.54	33
38.80	29
51.99	16
55.84	20
62.32	28
65.67	22

Atomic structure:
```
Pr2Dy2In3
1.0
4.6724 0.0000 0.0000
0.0000 24.7507 0.0000
0.0000 0.0000 3.5097
Pr Dy In
4 4 6
direct
0.0000 0.0722 0.0000
0.0000 0.9278 0.0000
0.5000 0.4278 0.0000
0.5000 0.5722 0.0000
0.0000 0.2042 0.0000
0.0000 0.7958 0.0000
0.5000 0.2958 0.0000
0.5000 0.7042 0.0000
0.0000 0.3490 0.5000
0.0000 0.5000 0.5000
0.0000 0.6510 0.5000
0.5000 0.0000 0.5000
0.5000 0.1510 0.5000
0.5000 0.8490 0.5000
```

***

Record 2
Simulated powder XRD pattern
Compound: SrGa4Ni4
Radiation: a wavelength of 1.5418 Å
Structure: the GGA-PBE geometry in Alexandria

Most intense lines, 10 to 80 degrees two-theta, in order of rising 2θ:
two_theta	Rel. int.
30.34	16
35.28	40
36.33	100
44.33	35
44.79	45
45.47	25
49.49	12
57.88	23
64.49	19
74.08	17

Atomic structure:
```
SrGa4Ni4
1.0
5.7799 0.0000 0.0000
0.0000 5.7799 0.0000
0.0000 0.0000 8.5009
Sr Ga Ni
2 8 8
direct
0.2500 0.7500 0.2500
0.7500 0.2500 0.7500
0.0336 0.2500 0.0626
0.2500 0.0336 0.5626
0.2500 0.4664 0.5626
0.4664 0.2500 0.0626
0.5336 0.7500 0.9374
0.7500 0.5336 0.4374
0.7500 0.9664 0.4374
0.9664 0.7500 0.9374
0.0268 0.2500 0.3507
0.2500 0.0268 0.8507
0.2500 0.4732 0.8507
0.4732 0.2500 0.3507
0.5268 0.7500 0.6493
0.7500 0.5268 0.1493
0.7500 0.9732 0.1493
0.9732 0.7500 0.6493
```

***

Record 3
Simulated powder XRD pattern
Compound: KZr4Ta
Radiation: a wavelength of 1.5418 Å
Structure: the GGA-PBE geometry in Alexandria

Most intense lines, 10 to 80 degrees two-theta, in order of rising 2θ:
two_theta	Rel. int.
18.22	18
21.07	10
29.97	30
35.30	100
36.92	37
53.21	12
56.71	33
62.27	25
73.65	11
74.65	13

Atomic structure:
```
KZr4Ta
1.0
0.0000 4.2169 4.2169
4.2169 0.0000 4.2169
4.2169 4.2169 0.0000
K Zr Ta
1 4 1
direct
0.0000 0.0000 0.0000
0.3792 0.3792 0.3792
0.3792 0.3792 0.8623
0.3792 0.8623 0.3792
0.8623 0.3792 0.3792
0.7500 0.7500 0.7500
```

* * * * *

1.
This entry pairs a crystal structure of Pt5C3 with its theoretical X-ray diffraction stick pattern. Radiation: Cu Kα (λ = 1.5418 Å). Structure: DFT lattice parameters and positions (GGA-PBE).
Peak positions follow from Bragg's law for the DFT cell and can differ from measured ones.

Top 10 peaks for 2θ = 5–70°, sorted by position:
Position (°2θ), Rel. int.
13.41, 65
23.76, 43
27.38, 70
29.58, 63
33.43, 88
35.49, 100
35.72, 70
40.28, 51
42.16, 42
43.12, 64

Structure:
```
Pt5C3
1.0
5.0749 0.0000 0.0000
0.0000 7.4911 0.0000
-0.5272 0.0000 6.6007
Pt C
10 6
Direct
0.1944 0.2500 0.2767
0.2503 0.2500 0.8242
0.2583 0.5657 0.0512
0.2583 0.9343 0.0512
0.2893 0.7500 0.5460
0.7107 0.2500 0.4540
0.7417 0.0657 0.9488
0.7417 0.4343 0.9488
0.7497 0.7500 0.1758
0.8056 0.7500 0.7233
0.1340 0.7500 0.2534
0.1933 0.7500 0.8305
=====

amazing restored ceiling of the "green room"

At the beginning, when we overtook the house, there was only one room painted in "original" colours (all others were painted white). And that room became then our "green room".

Later, we decided to have a larger kitchen by giving in the space of the former bathroom. So, the new bathroom had to be part of the "green room". There was no way around, we had to remodel it by building in a wall and split it into two spaces. By doing so, the ceiling stucco pattern was interrupted. However, we decided to restore it as good as possible and even use the same colour scheme as before: pale green, and pale rose for the ceiling with white stucco ornaments.

And here is the result !

Angelo did again an amazing job ! Bellissimo ! Grazie !

walls are painted with "smalto" (water-repellent paint)

Below, see the BEFORE pictures :

I am not sure in which corner of the "green room" I took these pictures (above), since I took them some years ago... But when the wall was installed that separates now the coming new bathroom from a kind of side entrance and storage area, the pattern of the ceiling stucco looked like in the picture below :

ceiling stucco interrupted by new wall

my "photoshopped" proposal for Angelo

But he did a much better job ! What a surprise !

Coming next :
Walls: pale green and a darker green, eg. Pea or Saxon green by Farrow & Ball, for the lower part with a white stucco border inbetween the two colours. We have ordered mosaico tiles for the wet areas and terra cotta tiles for the flooring.

narrow bathroom with arch

This is a bathroom I saw a while ago over at desire to inspire. It cought my attention because we also do have one narrow bathroom with a shower at the end. We still have not found the right tiles for the walls and flooring. I somehow like the above solution for that situation. It looks very clean and natural. I wonder if the bathroom has natural light, and if yes were it comes from .

That's why I was impressed by this simple solution in the first picture.
A calm and basic look would suit maybe our bath - that, so far, looks like this:

The view is from the entrance: Under the arch will be the toilet. Around the corner on the left will be the sink. And around the corner on the right, at the end, the shower. A dark narrow tunnel (much shorter though that the other bath above). No natural light.

Above, more pictures from different angles - this is part of another PowerPoint presentation by CC.

And for the better understanding, below, the floor plan:

(click on pic to enlarge)

And to see our progress, below, one ugly before photo :

We enlarged this space by breaking through the wall on the left and taking away some 80 cm from the guest/office room to add a shower to the bathroom. The arch remains and will host the new toilet.

Our first idea for the end of our narrow tunnel (on the left) was an eye catcher by Bisazza. We thought that the a red coral motif (below) would look great for the shower. But the tunnel / shower is only 80 cm wide and while the motif comes in 129 cm wide. If you take away 40% of the motif, it has not the same effect. And of course it is a waist of money, as it would not be ideal to use on the other wall as well. When you shower in a narrow place and you have this mosaic in front of you, I think, you might feel dizzy and your eyes get crazy...

Therefore, still in my filing are the following pictures:

I always had this photo (from a magazine) in mind.
I like the red, warm, cozy atmosphere. And the fake coral deco.  

But after we deem the coral mosaic not suitable, we only found these:

by Bisazza, but somehow boring if on floor and walls

Slightly better: mosaic by SICIS for the shower and sink area, square tiles (by de Maio) for the flooring

to understand better what is on the floor and what on the wall

Alternatively: one of these mosaic tiles could be for the floor

.... or these colourful stripes for the floor ( by la moderna manifattura) and water resistend paint for the walls ? Maybe even golden tiles, like in the 3rd page of this powerpoint presentation (made by CC).

... mmh, I can't resist Vietri tiles, especially when they are put together in that mosaic style... I picture a Vietri carpet that at the end of the shower goes up the wall till the ceiling. The other walls would be white, tiles and/or paint.

Interesting kind of Greek style antique looking flooring (by la moderna manifattura).

Or after all this beautiful blue Bisazza mosaic (Paola) ?

Since we have seen all this and still have no solution, none of the above will be realised. The room does not bare too much or too big pattern. Unless we want a cave feeling we should go for natural, light & bright colour and reflecting material.

you can click on all pictures to enlarge (except the first one)